Source =
'''
A plane-wave DFT calculation with PBE+U was carried out for a relaxed structure of LiMo2O6.

Cell: 10.2668 3.4472 7.8099 Å, 90.00 90.92 90.00°
Space group C2/m (No. 12)
Inequivalent atoms, fractional coordinates:
Li 0.0000 0.0000 0.0000 x2
Mo 0.2237 0.5000 0.7126 x4
O 0.1132 0.0000 0.2194 x4
O 0.1204 0.5000 0.8899 x4
O 0.1880 0.0000 0.6027 x4

Values from the calculation:
**ΔE to the lowest computed polymorph**: 90 meV per atom


This record from the Open Quantum Materials Database describes an optimized crystal structure of Tm4Lu3Ni2S2. The functional is PBE.

Summary:
Mass density in kg/m³: 9474
Total magnetization in Bohr magnetons per cell: 0.01
Symmetry: Imm2 (44)
VASP energy in eV per atom: -5.492
Crystal system: orthorhombic

abc: 8.7468 8.7468 8.7468
angles: 155.64 67.89 117.74
Positions (direct):
1 Tm 0.1205 0.0000 0.1205
2 Tm 0.2138 0.8480 0.3658
3 Tm 0.4822 0.8480 0.6342
'''
Request =
Could you repeat the whole of the rows further above without altering anything?
Reply =
A plane-wave DFT calculation with PBE+U was carried out for a relaxed structure of LiMo2O6.

Cell: 10.2668 3.4472 7.8099 Å, 90.00 90.92 90.00°
Space group C2/m (No. 12)
Inequivalent atoms, fractional coordinates:
Li 0.0000 0.0000 0.0000 x2
Mo 0.2237 0.5000 0.7126 x4
O 0.1132 0.0000 0.2194 x4
O 0.1204 0.5000 0.8899 x4
O 0.1880 0.0000 0.6027 x4

Values from the calculation:
**ΔE to the lowest computed polymorph**: 90 meV per atom


This record from the Open Quantum Materials Database describes an optimized crystal structure of Tm4Lu3Ni2S2. The functional is PBE.

Summary:
Mass density in kg/m³: 9474
Total magnetization in Bohr magnetons per cell: 0.01
Symmetry: Imm2 (44)
VASP energy in eV per atom: -5.492
Crystal system: orthorhombic

abc: 8.7468 8.7468 8.7468
angles: 155.64 67.89 117.74
Positions (direct):
1 Tm 0.1205 0.0000 0.1205
2 Tm 0.2138 0.8480 0.3658
3 Tm 0.4822 0.8480 0.6342